Data Exchange Revisions

Will Holmgren, Mar 26, 2019

Thanks to all of the stakeholders that provided feedback on the data exchange proposals. This blog post describes:

The revised versions of the dashboard documentation, API, and data model are now available:

Please review the materials and fill out this very short form with any additional feedback concerning data templates:

Five stakeholders participated in the webinar and six stakeholders provided feedback using the feedback form or email. We address the reviewer feedback below.

Missing, irregular, and regular data

Important feedback concerned missing data and if data was required to have a regular time interval (e.g. a point every minute) vs. points at arbitrary record times (similar to many PI historian configurations). We have made the following changes to the Observation data requirements:


A new Observation container must be created if the interval length parameter changes.

We will create a recommendations document for PI users to refer to when preparing archived irregular data for upload as regular interval data. Revisions to the observation data requirements will be considered in Year 2 in response to stakeholder requests.

Probabilistic forecast formats

Several stakeholders questioned how the Solar Forecast Arbiter would support probabilistic forecast data exchange. We have now added probabilistic forecast descriptions to the Forecast Definitions, the Data Model, and the API. In short, the Solar Forecast Arbiter quantifies probabilistic forecasts using cumulative distribution functions (CDFs). Users may discretize the CDF into constant values along either the variable axis or the percentile axis, and then forecast for the corresponding value on the complementary axis. Each component of a probabilistic forecast must be uploaded to a predetermined endpoint. We believe that this is a practical way to allow for both flexible specifications and simple formatting of probabilistic forecasts. Please see the links above for more information.

The addition of probabilistic forecasts to the API required that the non-probabilistic forecast API changed slightly in order for the API to remain RESTful. Please see solarforecastarbiter-api#67 for details.

Miscellaneous feedback

Stakeholders agreed that the dashboard sketches demonstrate a reasonable way to define Sites, Observations, and Forecasts.

Several stakeholders asked about editing metadata for a Site, Observation, or Forecast. Users will not be able to edit most metadata. Instead, users should create a new Site, Observation, or Forecast, or contact the administrators to change a metadata value.

We clarified that the metadata forms will require users to input valid input in all required fields. For most parameters, default values are not assumed and the user must provide a value. Exceptions will only be made where the default is obvious or where the metadata is less important and users may have a difficult time locating metadata. Tooltips will specify valid input ranges and API responses will indicate the fields that do not conform to the required input ranges.

We added two loss factor parameters to the PV system specification based on user feedback. The loss factors are: 1. DC loss factor: applied to DC current. 2. AC loss factor: applied to inverter power output.

Stakeholders asked for more information about the extra parameters field. This field is free form text. It is not used by the Solar Forecast Arbiter, but site owners and forecasters may use it to communicate additional modeling parameters. We recommended JSON or YAML because these are commonly used formats for specifying metadata, but CSV could also be used. A detailed system specification is beyond the scope of the Solar Forecast Arbiter.

Stakeholders agreed that the web dashboard sketches demonstrate a reasonable way to manually upload or download data.

We added a download data sketch in response to stakeholder requests. The download form will contain information about the period of record for the observation/forecast in the database.

We clarified that the dashboard will return useful error messages if data is formatted incorrectly.

-- These materials data were left in the article by mistake --
- - -
Calculated PXRD pattern of ZrBr2 for CuKα, from a DFT-relaxed cell (PBE, the Materials Project).

Structure:
```
data_ZrBr2
_space_group_name_H-M_alt 'R -3'
_space_group_IT_number 148
_space_group_name_Hall '-R 3'
_cell_length_a 13.8479
_cell_length_b 13.8479
_cell_length_c 9.6855
_cell_angle_alpha 90.00
_cell_angle_beta 90.00
_cell_angle_gamma 120.00
loop_
_atom_site_label
_atom_site_type_symbol
_atom_site_fract_x
_atom_site_fract_y
_atom_site_fract_z
Zr1 Zr 0.0413 0.1478 0.3622
Br1 Br 0.0261 0.5863 0.1632
Br2 Br 0.0498 0.1758 0.8190
```

Peak list (10 most intense, 2θ = 10–90°, sorted by position)
(1 0 1), 11.7 deg, d 7.535, I = 33.8; (1 1 0), 12.8 deg, d 6.924, I = 13.5; (4 -3 1), 28.4 deg, d 3.146, I = 22.0; (3 1 2), 32.7 deg, d 2.742, I = 100.0; (4 -3 4), 46.4 deg, d 1.958, I = 30.6; (2 5 0), 47.3 deg, d 1.920, I = 31.0; (8 -6 2), 58.7 deg, d 1.573, I = 13.4; (6 2 4), 68.4 deg, d 1.371, I = 9.0; (7 -2 6), 77.2 deg, d 1.236, I = 10.8; (10 -1 2), 78.6 deg, d 1.217, I = 9.5

~~~~~

1.
This entry pairs a crystal structure of SmY5Au6 with its theoretical X-ray powder pattern. Radiation: Cu Kα (weighted mean of Kα1 and Kα2). Structure: a crystal structure in Alexandria, relaxed with PBE.

Structural model:
```
data_SmY5Au6
_space_group_name_H-M_alt 'P 1'
_space_group_IT_number 1
_space_group_name_Hall 'P 1'
_cell_length_a 8.8734
_cell_length_b 8.8734
_cell_length_c 5.1061
_cell_angle_alpha 106.67
_cell_angle_beta 106.67
_cell_angle_gamma 120.08
loop_
_atom_site_label
_atom_site_fract_x
_atom_site_fract_y
_atom_site_fract_z
Sm1 0.0000 0.0000 0.0000
Y1 0.1661 0.8339 0.5000
Y2 0.3328 0.6672 0.0000
Y3 0.5000 0.5000 0.5000
Y4 0.6672 0.3328 0.0000
Y5 0.8339 0.1661 0.5000
Au1 0.0843 0.4223 0.2532
Au2 0.2570 0.2570 0.7571
Au3 0.4223 0.0843 0.2532
Au4 0.5777 0.9157 0.7468
Au5 0.7430 0.7430 0.2429
Au6 0.9157 0.5777 0.7468
```

The 10 most intense peaks (2θ = 10–90°), low angle first:
2θ = 24.59°, 3.621 Å, I 15
2θ = 35.03°, 2.562 Å, I 100
2θ = 35.15°, 2.553 Å, I 20
2θ = 50.31°, 1.814 Å, I 7
2θ = 50.46°, 1.809 Å, I 14
2θ = 62.80°, 1.480 Å, I 26
2θ = 62.94°, 1.477 Å, I 11
2θ = 63.04°, 1.475 Å, I 7
2θ = 73.97°, 1.281 Å, I 7
2θ = 84.65°, 1.145 Å, I 7

2.
This entry pairs a crystal structure of Dy8Hg2Rh with its theoretical X-ray powder pattern. Radiation: Cu Kα (weighted mean of Kα1 and Kα2). Structure: a crystal structure in Alexandria, relaxed with PBE.

Structural model:
```
data_Dy8Hg2Rh
_space_group_name_H-M_alt 'P 1'
_space_group_IT_number 1
_space_group_name_Hall 'P 1'
_cell_length_a 9.2048
_cell_length_b 9.2048
_cell_length_c 6.8383
_cell_angle_alpha 106.03
_cell_angle_beta 106.03
_cell_angle_gamma 33.04
loop_
_atom_site_label
_atom_site_fract_x
_atom_site_fract_y
_atom_site_fract_z
Dy1 0.0237 0.0237 0.2821
Dy2 0.1995 0.1995 0.8047
Dy3 0.3469 0.3469 0.5418
Dy4 0.4118 0.4118 0.0696
Dy5 0.5882 0.5882 0.9304
Dy6 0.6531 0.6531 0.4582
Dy7 0.8005 0.8005 0.1953
Dy8 0.9763 0.9763 0.7179
Hg1 0.1873 0.1873 0.2255
Hg2 0.8127 0.8127 0.7745
Rh1 0.5000 0.5000 0.5000
- - -

Stakeholders agreed that the csv and json Observation and Forecast data templates are reasonable.

A stakeholder asked why we are supporting json rather than XML. We choose to support json because, in our experience, it is more commonly used in RESTful APIs and it is less verbose. We also recognize that some forecasters and forecast users use XML. We will reevaluate adding XML support in Year 2 of the project if there is sufficient stakeholder interest.

Stakeholders agreed that the API provides a reasonable way to automate the upload and download of Observation and Forecast data.

Stakeholders pointed out the challenge of creating a scalable framework that can remain responsive when large amount of data are provided. We agree that this is a challenge. The Data Model and data formats are designed in ways that we believe will help with this scalability. We also note that the forecast evaluation time series requires non-overlapping data, which helps with some of the dimensionality problems associated with forecasts.

We added Availability and Curtailment to the list of supported variables in the data model.

A stakeholder suggested that we consider that bifacial PV will become more common over the next several years and that additional metadata will be required for these systems. We agree. For now, we recommend using the free-form Extra Parameters field to specify bifacial modeling parameters. In years 2 and 3 we can investigate if and how some parameters should be added to the standard metadata options.

We made minor consistency and grammar improvements suggested by stakeholders.

We changed the forecast attribute “value type” to “interval value type” to avoid confusion.

If you’ve read this far, you may be interested to download and run a local instance of the API with a file storage backend for testing. You can even run a local instance of the dashboard against the API! Please see these GitHub repositories for more information: